PHP: Storing 'objects' inside the $_SESSION

HTTP is a stateless protocol for a reason. Sessions weld state onto HTTP. As a rule of thumb, avoid using session state.

Records of molecules, kept here for reference:
┌──
106
Properties=species:S:1:pos:R:3 method="wB97M-V/def2-TZVPD" lumo_ev=-3.153 total_charge=+1
H 8.07254 -2.15329 1.44821
H 0.69342 -3.52651 -6.14813
H -4.41891 3.14153 7.49111
O 2.60629 -3.18471 -1.39721
H 3.01441 -0.64349 1.84523
H -2.73746 0.13599 0.99109
H -0.92001 1.12514 4.73464
H 3.41012 -3.48243 -3.97905
C 6.34372 -3.26771 3.07026
O 0.58015 3.47125 -4.37099
O 1.69175 -1.07289 3.93730
C -0.35293 -6.06430 -10.33946
H -7.91436 4.33081 3.77226
C -0.52098 0.06112 -0.43511
H 0.37433 3.66085 -0.99810
O 1.29457 -2.87433 -5.76817
H 6.10063 -2.37883 3.65502
C -8.01214 3.30300 3.42206
C -1.88387 0.38944 1.59765
H 1.33853 0.81735 1.13080
H -0.99383 3.21551 -3.04809
H -2.99149 0.71840 6.28717
C 0.41564 0.78094 1.69019
H 0.33964 0.63710 -0.76792
H 0.90917 -5.60638 -8.11840
H -3.33223 5.54636 4.91205
H -2.59496 -0.08572 -1.13204
H 0.85191 -1.53388 -0.92313
H -0.25490 4.81388 -3.13459
H -7.26418 3.71561 1.44219
C -0.61561 -5.08247 -9.21527
C -3.37259 1.73998 6.23922
O 7.17325 -1.89206 1.22745
C -0.14686 -1.44625 -0.49941
C 0.38404 1.01870 3.04311
H 5.30035 -2.62139 1.29606
H -0.32709 5.80157 4.37665
N -0.69248 0.45187 0.99460
H 2.96456 -1.86007 -6.28924
C 2.57191 0.05043 3.83918
C 6.29756 -2.95444 1.58552
H -0.05968 -1.80821 0.52723
H -2.94601 0.60127 3.43827
H 1.12671 -1.13777 -7.83232
H 4.69296 -2.26519 -3.89548
C -0.85460 0.93959 3.67091
C 3.85710 -2.80642 -1.97910
H -2.54715 2.41818 6.01437
H 2.20392 -1.84758 4.18946
H 2.32661 -4.00795 -1.80966
C 1.69519 -2.04773 -8.02516
H -3.30660 2.08467 8.36464
H -4.63061 2.66842 5.08419
H 3.15982 0.10626 4.75703
H -0.81922 -5.72939 -11.26628
H 2.99246 -1.80449 -3.67873
C -2.31223 5.14858 4.90265
O -0.03666 -5.49744 -7.97551
H -1.61426 6.53920 3.40507
H 6.52954 -3.85133 1.00168
H 1.00886 -2.77862 -8.45658
H -7.16860 2.01670 1.90993
H 4.15746 -1.89265 -1.46645
C -1.13232 -2.34781 -1.22985
H 1.45153 1.65727 4.77134
H 4.38594 -0.69488 2.93032
H -1.89488 1.56075 -1.13102
H -9.04528 3.13699 3.11623
H -2.30360 4.27822 4.24378
H 1.79944 3.94877 -2.01794
H 7.34264 -3.59379 3.36602
O -5.69677 3.28917 2.63365
C 3.73666 -2.57376 -3.47050
H -1.28251 -2.05001 -2.26490
O -1.96667 4.64986 6.19650
H -1.98334 5.38851 6.81353
C -4.02625 2.12425 7.54713
C 0.85775 3.40584 -1.94432
H -2.09755 -2.36318 -0.72153
H 0.71953 -6.16964 -10.51953
H 2.46184 -1.82793 -8.76933
H 0.77365 2.53034 -4.42177
H -1.34139 7.06989 5.06599
C -1.69405 0.50094 -1.28600
H 3.86553 0.86509 2.28599
H -0.75375 -3.36769 -1.21593
H 2.87984 -3.49442 -6.94873
H -0.23822 -4.08973 -9.48082
C 3.51809 -0.10110 2.64659
H -4.85361 1.45184 7.77492
C -7.05785 3.04353 2.27346
H 2.20145 2.08226 3.22852
H -7.79775 2.63552 4.26056
C 2.29592 -2.58981 -6.74425
C -1.99145 0.64305 2.93854
H 5.64079 -4.06187 3.32679
C 1.67095 1.29834 3.76887
C -0.03758 3.74739 -3.12360
C -1.34156 6.20096 4.40511
H -1.68400 -4.99018 -9.02775
H 4.60841 -3.57232 -1.76329
O -4.29425 1.76636 5.13592
H -0.74902 -7.04704 -10.08435
└──

UPDATE: There is no concept of a session at the HTTP level; servers provide this by giving the client a unique ID and telling the client to resubmit it on every request. Then the server uses that ID as a key into a big hashtable of Session objects. Whenever the server gets a request, it looks up the Session info out of its hashtable of session objects based on the ID the client submitted with the request. All this extra work is a double whammy on scalability (a big reason HTTP is stateless).

  • Whammy One: It reduces the work a single server can do.
  • Whammy Two: It makes it harder to scale out because now you can't just route a request to any old server - they don't all have the same session. You can pin all the requests with a given session ID to the same server. That's not easy, and it's a single point of failure (not for the system as a whole, but for big chunks of your users). Or, you could share the session storage across all servers in the cluster, but now you have more complexity: network-attached memory, a stand-alone session server, etc.

Given all that, the more info you put in the session, the bigger the impact on performance (as Vinko points out). Also as Vinko points out, if your object isn't serializable, the session will misbehave. So, as a rule of thumb, avoid putting more than absolutely necessary in the session.

@Vinko You can usually work around having the server store state by embedding the data you're tracking in the response you send back and having the client resubmit it, e.g., sending the data down in a hidden input. If you really need server-side tracking of state, it should probably be in your backing datastore.

(Vinko adds: PHP can use a database for storing session information, and having the client resubmit the data each time might solve potential scalability issues, but opens a big can of security issues you must pay attention to now that the client's in control of all your state)

it's OK as long as by the time the session_start() call is made, the class declaration/definition has already been encountered by PHP or can be found by an already-installed autoloader. otherwise it would not be able to deserialize the object from the session store.

I know this topic is old, but this issue keeps coming up and has not been addressed to my satisfaction:

Whether you save objects in $_SESSION, or reconstruct them whole cloth based on data stashed in hidden form fields, or re-query them from the DB each time, you are using state. HTTP is stateless (more or less; but see GET vs. PUT) but almost everything anybody cares to do with a web app requires state to be maintained somewhere. Acting as if pushing the state into nooks and crannies amounts to some kind of theoretical win is just wrong. State is state. If you use state, you lose the various technical advantages gained by being stateless. This is not something to lose sleep over unless you know in advance that you ought to be losing sleep over it.

I am especially flummoxed by the blessing received by the "double whammy" arguments put forth by Hank Gay. Is the OP building a distributed and load-balanced e-commerce system? My guess is no; and I will further posit that serializing his $User class, or whatever, will not cripple his server beyond repair. My advice: use techniques that are sensible to your application. Objects in $_SESSION are fine, subject to common sense precautions. If your app suddenly turns into something rivaling Amazon in traffic served, you will need to re-adapt. That's life.

  • Objects which cannot be serialized (or which contain unserializable members) will not come out of the $_SESSION as you would expect
  • Huge sessions put a burden on the server (serializing and deserializing megs of state each time is expensive)

Other than that I've seen no problems.